........
Record 1
{
  "formula": "C4H5NO",
  "method": "ωB97M-V/def2-TZVPD",
  "elements": ["C", "C", "C", "N", "C", "O", "H", "H", "H", "H", "H"],
  "xyz": [[1.646, -0.045, 0.016], [0.218, 0.087, 0.041], [-0.687, 1.074, 0.034], [-1.989, 0.524, 0.061], [-1.648, -0.793, -0.070], [-0.434, -1.015, 0.132], [2.012, 0.460, -0.792], [2.087, 0.208, 1.109], [1.783, -1.094, -0.447], [-0.683, 2.202, -0.076], [-2.305, -1.608, -0.010]],
  "lowdin_charge": [-0.01, -0.44, -0.09, 0.10, -0.22, 0.10, 0.04, 0.15, 0.12, 0.13, 0.12],
  "e_above_lowest_ev": 2.0006,
  "spin_multiplicity": 1,
  "charge": 0,
  "energy_ev": -7764.5259,
  "smiles": "Cc1cnco1",
  "gap_ev": 9.923
}

---

Record 2
{
  "formula": "C31H62BrF3N2O2",
  "method": "ωB97M-V/def2-TZVPD",
  "elements": ["C", "C", "C", "C", "C", "C", "C", "C", "C", "C", "C", "C", "C", "C", "C", "C", "C", "C", "C", "C", "C", "Br", "C", "C", "N", "C", "C", "C", "C", "N", "H", "H", "H", "H", "H", "H", "H", "H", "H", "H", "H", "H", "H", "H", "H", "H", "H", "H", "H", "H", "H", "H", "H", "H", "H", "H", "H", "H", "H", "H", "H", "H", "H", "H", "H", "H", "H", "H", "H", "H", "H", "H", "H", "H", "H", "H", "H", "H", "H", "H", "H", "H", "H", "H", "H", "H", "C", "C", "O", "C", "O", "C", "F", "F", "F", "H", "H", "H", "H", "H", "H"],
  "xyz": [[-8.371, 6.220, -2.955], [-8.275, 5.218, -4.109], [-7.687, 3.867, -3.645], [-6.802, 3.163, -4.693], [-5.318, 3.057, -4.301], [-4.892, 1.646, -3.894], [-3.419, 1.573, -3.484], [-2.946, 0.128, -3.204], [-1.880, -0.391, -4.183], [-0.456, -0.236, -3.639], [0.027, 1.215, -3.527], [1.552, 1.308, -3.438], [2.096, 2.656, -2.927], [2.837, 2.539, -1.598], [1.894, 2.252, -0.413], [2.441, 1.220, 0.584], [2.506, -0.188, -0.002], [3.336, -1.237, 0.762], [4.707, -0.737, 1.195], [5.590, -1.705, 2.000], [4.881, -2.691, 2.899], [6.845, -2.644, 0.815], [3.445, -2.469, -0.142], [2.078, -3.059, -0.413], [1.188, -2.011, -1.013], [1.080, -0.704, -0.268], [0.144, -0.769, 0.954], [-0.794, -1.969, 1.028], [-1.870, -1.805, 2.145], [-1.526, -0.802, 3.138], [-8.841, 5.749, -2.089], [-7.372, 6.533, -2.647], [-8.945, 7.104, -3.229], [-7.614, 5.636, -4.869], [-9.268, 5.052, -4.523], [-7.107, 4.052, -2.738], [-8.514, 3.213, -3.361], [-6.867, 3.708, -5.636], [-7.190, 2.162, -4.895], [-4.675, 3.366, -5.130], [-5.095, 3.732, -3.470], [-5.054, 0.968, -4.737], [-5.497, 1.309, -3.048], [-3.255, 2.214, -2.616], [-2.830, 1.999, -4.302], [-2.550, 0.078, -2.186], [-3.818, -0.526, -3.239], [-2.039, -1.454, -4.380], [-1.967, 0.132, -5.138], [-0.474, -0.673, -2.628], [0.255, -0.828, -4.223], [-0.336, 1.776, -4.390], [-0.396, 1.661, -2.622], [1.964, 1.087, -4.425], [1.906, 0.507, -2.774], [1.270, 3.364, -2.811], [2.759, 3.085, -3.680], [3.628, 1.789, -1.682], [3.342, 3.489, -1.411], [1.762, 3.186, 0.134], [0.911, 1.950, -0.779], [3.427, 1.558, 0.899], [1.808, 1.246, 1.474], [2.989, -0.099, -0.988], [2.772, -1.542, 1.653], [4.622, 0.177, 1.779], [5.262, -0.468, 0.290], [6.233, -1.090, 2.626], [5.567, -3.408, 3.342], [4.111, -3.272, 2.385], [4.379, -2.164, 3.713], [3.909, -2.171, -1.090], [4.083, -3.234, 0.297], [2.151, -3.862, -1.148], [1.623, -3.482, 0.478], [1.599, -1.790, -1.923], [0.261, -2.383, -1.213], [0.628, -0.012, -0.978], [0.698, -0.643, 1.882], [-0.493, 0.116, 0.888], [-0.259, -2.900, 1.214], [-1.355, -2.049, 0.088], [-1.998, -2.786, 2.613], [-2.830, -1.559, 1.696], [-2.330, -0.282, 3.449], [-1.068, -1.200, 3.943], [4.085, -4.976, 8.233], [4.569, -3.564, 8.554], [4.634, -2.681, 7.461], [3.403, -1.945, 7.120], [2.746, -1.423, 8.092], [2.479, -2.844, 6.241], [3.145, -3.621, 5.335], [1.692, -2.039, 5.464], [1.635, -3.657, 6.887], [4.518, -5.322, 7.293], [4.389, -5.659, 9.031], [3.002, -5.032, 8.152], [5.601, -3.639, 8.914], [3.980, -3.119, 9.363], [3.826, -1.248, 6.341]],
........
Next, repeat the material further above without additions.
Record 1
{
  "formula": "C4H5NO",
  "method": "ωB97M-V/def2-TZVPD",
  "elements": ["C", "C", "C", "N", "C", "O", "H", "H", "H", "H", "H"],
  "xyz": [[1.646, -0.045, 0.016], [0.218, 0.087, 0.041], [-0.687, 1.074, 0.034], [-1.989, 0.524, 0.061], [-1.648, -0.793, -0.070], [-0.434, -1.015, 0.132], [2.012, 0.460, -0.792], [2.087, 0.208, 1.109], [1.783, -1.094, -0.447], [-0.683, 2.202, -0.076], [-2.305, -1.608, -0.010]],
  "lowdin_charge": [-0.01, -0.44, -0.09, 0.10, -0.22, 0.10, 0.04, 0.15, 0.12, 0.13, 0.12],
  "e_above_lowest_ev": 2.0006,
  "spin_multiplicity": 1,
  "charge": 0,
  "energy_ev": -7764.5259,
  "smiles": "Cc1cnco1",
  "gap_ev": 9.923
}

---

Record 2
{
  "formula": "C31H62BrF3N2O2",
  "method": "ωB97M-V/def2-TZVPD",
  "elements": ["C", "C", "C", "C", "C", "C", "C", "C", "C", "C", "C", "C", "C", "C", "C", "C", "C", "C", "C", "C", "C", "Br", "C", "C", "N", "C", "C", "C", "C", "N", "H", "H", "H", "H", "H", "H", "H", "H", "H", "H", "H", "H", "H", "H", "H", "H", "H", "H", "H", "H", "H", "H", "H", "H", "H", "H", "H", "H", "H", "H", "H", "H", "H", "H", "H", "H", "H", "H", "H", "H", "H", "H", "H", "H", "H", "H", "H", "H", "H", "H", "H", "H", "H", "H", "H", "H", "C", "C", "O", "C", "O", "C", "F", "F", "F", "H", "H", "H", "H", "H", "H"],
  "xyz": [[-8.371, 6.220, -2.955], [-8.275, 5.218, -4.109], [-7.687, 3.867, -3.645], [-6.802, 3.163, -4.693], [-5.318, 3.057, -4.301], [-4.892, 1.646, -3.894], [-3.419, 1.573, -3.484], [-2.946, 0.128, -3.204], [-1.880, -0.391, -4.183], [-0.456, -0.236, -3.639], [0.027, 1.215, -3.527], [1.552, 1.308, -3.438], [2.096, 2.656, -2.927], [2.837, 2.539, -1.598], [1.894, 2.252, -0.413], [2.441, 1.220, 0.584], [2.506, -0.188, -0.002], [3.336, -1.237, 0.762], [4.707, -0.737, 1.195], [5.590, -1.705, 2.000], [4.881, -2.691, 2.899], [6.845, -2.644, 0.815], [3.445, -2.469, -0.142], [2.078, -3.059, -0.413], [1.188, -2.011, -1.013], [1.080, -0.704, -0.268], [0.144, -0.769, 0.954], [-0.794, -1.969, 1.028], [-1.870, -1.805, 2.145], [-1.526, -0.802, 3.138], [-8.841, 5.749, -2.089], [-7.372, 6.533, -2.647], [-8.945, 7.104, -3.229], [-7.614, 5.636, -4.869], [-9.268, 5.052, -4.523], [-7.107, 4.052, -2.738], [-8.514, 3.213, -3.361], [-6.867, 3.708, -5.636], [-7.190, 2.162, -4.895], [-4.675, 3.366, -5.130], [-5.095, 3.732, -3.470], [-5.054, 0.968, -4.737], [-5.497, 1.309, -3.048], [-3.255, 2.214, -2.616], [-2.830, 1.999, -4.302], [-2.550, 0.078, -2.186], [-3.818, -0.526, -3.239], [-2.039, -1.454, -4.380], [-1.967, 0.132, -5.138], [-0.474, -0.673, -2.628], [0.255, -0.828, -4.223], [-0.336, 1.776, -4.390], [-0.396, 1.661, -2.622], [1.964, 1.087, -4.425], [1.906, 0.507, -2.774], [1.270, 3.364, -2.811], [2.759, 3.085, -3.680], [3.628, 1.789, -1.682], [3.342, 3.489, -1.411], [1.762, 3.186, 0.134], [0.911, 1.950, -0.779], [3.427, 1.558, 0.899], [1.808, 1.246, 1.474], [2.989, -0.099, -0.988], [2.772, -1.542, 1.653], [4.622, 0.177, 1.779], [5.262, -0.468, 0.290], [6.233, -1.090, 2.626], [5.567, -3.408, 3.342], [4.111, -3.272, 2.385], [4.379, -2.164, 3.713], [3.909, -2.171, -1.090], [4.083, -3.234, 0.297], [2.151, -3.862, -1.148], [1.623, -3.482, 0.478], [1.599, -1.790, -1.923], [0.261, -2.383, -1.213], [0.628, -0.012, -0.978], [0.698, -0.643, 1.882], [-0.493, 0.116, 0.888], [-0.259, -2.900, 1.214], [-1.355, -2.049, 0.088], [-1.998, -2.786, 2.613], [-2.830, -1.559, 1.696], [-2.330, -0.282, 3.449], [-1.068, -1.200, 3.943], [4.085, -4.976, 8.233], [4.569, -3.564, 8.554], [4.634, -2.681, 7.461], [3.403, -1.945, 7.120], [2.746, -1.423, 8.092], [2.479, -2.844, 6.241], [3.145, -3.621, 5.335], [1.692, -2.039, 5.464], [1.635, -3.657, 6.887], [4.518, -5.322, 7.293], [4.389, -5.659, 9.031], [3.002, -5.032, 8.152], [5.601, -3.639, 8.914], [3.980, -3.119, 9.363], [3.826, -1.248, 6.341]],